File:
A relaxed structure of Cu3P15I2. Source: the Materials Project database, functional PBE.

Output
E_form   -12.01 kJ/mol of atoms
Total DFT energy (no corrections)   -4.91 eV/atom
M_tot   0.0 μB per cell

Cell lengths 9.710, 19.566, 11.447 Å; angles 90.00, 124.68, 90.00 degrees
Fractional positions:
Cu1 0.001 0.057 0.325
Cu2 0.001 0.443 0.825
Cu3 0.369 0.711 0.427
Cu4 0.369 0.789 0.927
Cu5 0.407 0.559 0.178
Cu6 0.407 0.941 0.678
Cu7 0.593 0.059 0.322
Cu8 0.593 0.441 0.822
Cu9 0.631 0.211 0.073
Cu10 0.631 0.289 0.573
Cu11 0.999 0.557 0.175
Cu12 0.999 0.943 0.675
P1 0.001 0.150 0.615
P2 0.001 0.350 0.115
P3 0.019 0.086 0.916
P4 0.019 0.414 0.416
P5 0.136 0.077 0.566
P6 0.136 0.423 0.066
P7 0.143 0.517 0.771
P8 0.143 0.983 0.271
P9 0.164 0.144 0.856
P10 0.164 0.356 0.356
P11 0.169 0.665 0.629
P12 0.169 0.835 0.129
P13 0.226 0.593 0.942
P14 0.226 0.907 0.442
P15 0.238 0.504 0.227
P16 0.238 0.996 0.727
P17 0.284 0.579 0.583
P18 0.284 0.921 0.083
P19 0.331 0.673 0.873
P20 0.331 0.827 0.373
P21 0.335 0.155 0.638
P22 0.335 0.345 0.138
P23 0.355 0.062 0.915
P24 0.355 0.438 0.415
P25 0.391 0.518 0.780
P26 0.391 0.982 0.280
P27 0.462 0.100 0.556
P28 0.462 0.400 0.056
P29 0.500 0.138 0.880
P30 0.500 0.362 0.380
P31 0.500 0.638 0.620
P32 0.500 0.862 0.120
P33 0.538 0.600 0.944
P34 0.538 0.900 0.444
P35 0.609 0.018 0.720
P36 0.609 0.482 0.220
P37 0.645 0.562 0.585
P38 0.645 0.938 0.085
P39 0.665 0.655 0.862
P40 0.665 0.845 0.362
P41 0.669 0.173 0.627
P42 0.669 0.327 0.127
P43 0.716 0.079 0.917
P44 0.716 0.421 0.417
P45 0.762 0.004 0.273
P46 0.762 0.496 0.773
P47 0.774 0.093 0.558
P48 0.774 0.407 0.058
P49 0.831 0.165 0.871
P50 0.831 0.335 0.371
P51 0.836 0.644 0.644
P52 0.836 0.856 0.144
P53 0.857 0.017 0.729
P54 0.857 0.483 0.229
P55 0.864 0.577 0.934
P56 0.864 0.923 0.434
P57 0.981 0.586 0.584
P58 0.981 0.914 0.084
P59 0.999 0.650 0.885
P60 0.999 0.850 0.385
I1 0.040 0.682 0.265
I2 0.040 0.818 0.765
I3 0.499 0.682 0.279
I4 0.499 0.818 0.779
I5 0.501 0.182 0.221
I6 0.501 0.318 0.721
I7 0.960 0.182 0.235
I8 0.960 0.318 0.735

Work order:
Next, retype the whole of the rows above exactly.

Response:
A relaxed structure of Cu3P15I2. Source: the Materials Project database, functional PBE.

Output
E_form   -12.01 kJ/mol of atoms
Total DFT energy (no corrections)   -4.91 eV/atom
M_tot   0.0 μB per cell

Cell lengths 9.710, 19.566, 11.447 Å; angles 90.00, 124.68, 90.00 degrees
Fractional positions:
Cu1 0.001 0.057 0.325
Cu2 0.001 0.443 0.825
Cu3 0.369 0.711 0.427
Cu4 0.369 0.789 0.927
Cu5 0.407 0.559 0.178
Cu6 0.407 0.941 0.678
Cu7 0.593 0.059 0.322
Cu8 0.593 0.441 0.822
Cu9 0.631 0.211 0.073
Cu10 0.631 0.289 0.573
Cu11 0.999 0.557 0.175
Cu12 0.999 0.943 0.675
P1 0.001 0.150 0.615
P2 0.001 0.350 0.115
P3 0.019 0.086 0.916
P4 0.019 0.414 0.416
P5 0.136 0.077 0.566
P6 0.136 0.423 0.066
P7 0.143 0.517 0.771
P8 0.143 0.983 0.271
P9 0.164 0.144 0.856
P10 0.164 0.356 0.356
P11 0.169 0.665 0.629
P12 0.169 0.835 0.129
P13 0.226 0.593 0.942
P14 0.226 0.907 0.442
P15 0.238 0.504 0.227
P16 0.238 0.996 0.727
P17 0.284 0.579 0.583
P18 0.284 0.921 0.083
P19 0.331 0.673 0.873
P20 0.331 0.827 0.373
P21 0.335 0.155 0.638
P22 0.335 0.345 0.138
P23 0.355 0.062 0.915
P24 0.355 0.438 0.415
P25 0.391 0.518 0.780
P26 0.391 0.982 0.280
P27 0.462 0.100 0.556
P28 0.462 0.400 0.056
P29 0.500 0.138 0.880
P30 0.500 0.362 0.380
P31 0.500 0.638 0.620
P32 0.500 0.862 0.120
P33 0.538 0.600 0.944
P34 0.538 0.900 0.444
P35 0.609 0.018 0.720
P36 0.609 0.482 0.220
P37 0.645 0.562 0.585
P38 0.645 0.938 0.085
P39 0.665 0.655 0.862
P40 0.665 0.845 0.362
P41 0.669 0.173 0.627
P42 0.669 0.327 0.127
P43 0.716 0.079 0.917
P44 0.716 0.421 0.417
P45 0.762 0.004 0.273
P46 0.762 0.496 0.773
P47 0.774 0.093 0.558
P48 0.774 0.407 0.058
P49 0.831 0.165 0.871
P50 0.831 0.335 0.371
P51 0.836 0.644 0.644
P52 0.836 0.856 0.144
P53 0.857 0.017 0.729
P54 0.857 0.483 0.229
P55 0.864 0.577 0.934
P56 0.864 0.923 0.434
P57 0.981 0.586 0.584
P58 0.981 0.914 0.084
P59 0.999 0.650 0.885
P60 0.999 0.850 0.385
I1 0.040 0.682 0.265
I2 0.040 0.818 0.765
I3 0.499 0.682 0.279
I4 0.499 0.818 0.779
I5 0.501 0.182 0.221
I6 0.501 0.318 0.721
I7 0.960 0.182 0.235
I8 0.960 0.318 0.735